Strong physical skills are obviously crucial in volleyball. The ability to pass a serve, to power down a spike or to jump high for a block are important skills. But just as important – perhaps even moreso – are a player’s mental skills: staying focused, staying positive and turning challenges into opportunities.

Courtney Thompson, former U.S. Women’s National Team setter, knows the importance of a strong mental game. Her mindset helped her go from “the worst setter in the USA gym,” – her words – to two Olympic medals.

“Everything you need to reach your dreams is within you already,” Courtney recently told a group of USAV athletes and coaches during a High Performance Academy session. “Sometimes we just have to train ourselves to get out of our own way,”

Like physical training, mindset training must be done frequently, and there are several exercises to build different parts of a strong mindset.

“Every time we … become aware of a distraction and choose something productive, it’s like doing a bicep curl for our brain.

-- Between two parts of the piece: records of crystals --
- - -
Run A
First-principles (PBE) data for a relaxed AcNd4In crystal, as listed in the Alexandria database.

CIF file:
```
data_AcNd4In
_symmetry_space_group_name_H-M 'P 1'
_symmetry_Int_Tables_number 1
_symmetry_space_group_name_Hall 'P 1'
_cell_length_a 5.601
_cell_length_b 7.126
_cell_length_c 6.832
_cell_angle_alpha 99.12
_cell_angle_beta 65.80
_cell_angle_gamma 66.86
loop_
_atom_site_label
_atom_site_fract_x
_atom_site_fract_y
_atom_site_fract_z
Nd1 0.351 0.295 0.004
Nd2 0.649 0.705 0.996
Nd3 0.865 0.839 0.432
Nd4 0.135 0.161 0.568
In1 0.000 0.000 0.000
Ac1 0.500 0.500 0.500
```

Run B
First-principles (PBE) data for a relaxed AcNd4In crystal, as listed in the Alexandria database.

CIF file:
```
data_AcNd4In
_symmetry_space_group_name_H-M 'P 1'
_symmetry_Int_Tables_number 1
_symmetry_space_group_name_Hall 'P 1'
_cell_length_a 3.791
_cell_length_b 3.791
_cell_length_c 14.607
_cell_angle_alpha 90.00
_cell_angle_beta 90.00
_cell_angle_gamma 90.00
loop_
_atom_site_label
_atom_site_fract_x
_atom_site_fract_y
_atom_site_fract_z
Nd1 0.500 0.500 0.812
Nd2 0.000 0.000 0.640
Nd3 0.500 0.500 0.188
Nd4 0.000 0.000 0.360
In1 0.500 0.500 0.500
Ac1 0.000 0.000 0.000
```

Of them, run B has the highest stability.

Run A
First-principles (PBE) data for a relaxed AcNd2In crystal, as listed in the Alexandria database.

CIF file:
```
data_AcNd2In
_symmetry_space_group_name_H-M 'P 1'
_symmetry_Int_Tables_number 1
_symmetry_space_group_name_Hall 'P 1'
_cell_length_a 5.665
_cell_length_b 7.191
_cell_length_c 13.740
_cell_angle_alpha 90.00
_cell_angle_beta 90.00
_cell_angle_gamma 90.00
loop_
_atom_site_label
_atom_site_fract_x
_atom_site_fract_y
_atom_site_fract_z
Nd1 0.750 0.119 0.557
Nd2 0.750 0.381 0.057
Nd3 0.250 0.619 0.943
Nd4 0.750 0.389 0.800
Nd5 0.250 0.881 0.443
Nd6 0.250 0.889 0.700
Nd7 0.750 0.111 0.300
Nd8 0.250 0.611 0.200
Ac1 0.250 0.094 0.124
Ac2 0.750 0.906 0.876
Ac3 0.250 0.406 0.624
Ac4 0.750 0.594 0.376
In1 0.250 0.311 0.379
In2 0.250 0.189 0.879
In3 0.750 0.811 0.121
In4 0.750 0.689 0.621
```

Run B
First-principles (PBE) data for a relaxed AcNd2In crystal, as listed in the Alexandria database.

CIF file:
```
data_AcNd2In
_symmetry_space_group_name_H-M 'P 1'
_symmetry_Int_Tables_number 1
_symmetry_space_group_name_Hall 'P 1'
_cell_length_a 5.081
_cell_length_b 5.123
_cell_length_c 5.123
_cell_angle_alpha 90.00
_cell_angle_beta 90.00
_cell_angle_gamma 90.00
loop_
_atom_site_label
_atom_site_fract_x
_atom_site_fract_y
_atom_site_fract_z
Nd1 0.000 0.000 0.500
Nd2 0.000 0.500 0.000
In1 0.500 0.000 0.000
Ac1 0.500 0.500 0.500
```

Of them, run B has the highest stability.

Run A
First-principles (PBE) data for a relaxed Ac2NdIn crystal, as listed in the Alexandria database.

CIF file:
```
data_Ac2NdIn
_symmetry_space_group_name_H-M 'P 1'
_symmetry_Int_Tables_number 1
_symmetry_space_group_name_Hall 'P 1'
_cell_length_a 5.163
_cell_length_b 5.266
_cell_length_c 5.266
_cell_angle_alpha 90.00
_cell_angle_beta 90.00
_cell_angle_gamma 90.00
loop_
- - -

“We’re building our strength to be in challenging environments and still focus on what’s within our control.”

Keep in mind, though, while these concepts may be easy to discuss, they’re much harder to implement.

Courtney still doesn’t think she has perfect confidence. “What’s changed for me is when I’m tested, when I get nervous, I know I care about it a lot. I have tools to figure out the challenge, and if I really botch it, I’m going to learn something.”

Courtney has some bicep curls for the brain that players and coaches alike can use to focus their minds and build resiliency.

Control the Controllables

T Chart

The T Chart allows players to take responsibility of what they can control and accept what they cannot.

Step One: Separate a piece of paper into two columns with space for a header (the lines you draw will form a capital T). The left column should be titled, “Things I Can Control” and the right “Things I Can’t Control.”

Step Two: In the left column, list four things that a player has sole responsibility over during a match.

  • Courtney’s answer: attitude, effort, thoughts and behavior

Step Three: At the top, write a situation in your volleyball career that makes you nervous.

  • Examples: a tryout, being a starter, getting a scholarship, etc.

Step Four: Returning to the left column, list three things you can do daily (or weekly) to address your concern.

Step Five: In the right column, list anything that gets in the way of accomplishing the goal listed atop the paper.

  • Examples: winning/losing, other people’s opinions, playing time

Step Six: Tear the paper in half, leaving the two columns intact. Crumple up the right column and throw it away.

-- Attached: data records --
[1]
Below is a relaxed TlTc2Hg crystal, with properties calculated at the GGA-PBE level.

Lattice parameters (Å, degrees): 9.3339 9.3339 9.3339 18.60 18.60 18.60
Sites, in units of the cell vectors:
Hg1 0.7500 0.7500 0.7500
Tc1 0.0001 0.0001 0.0001
Tc2 0.4999 0.4999 0.4999
Tl1 0.2500 0.2500 0.2500

distance to the lowest polymorph of the same formula: 499 meV per atom
symmetry: R-3m
calculated formation energy: 0.80 eV per atom

***

[2]
Below is a relaxed Tl2TcHg crystal, with properties calculated at the GGA-PBE level.

Lattice parameters (Å, degrees): 4.3933 3.6646 5.9266 71.91 90.00 90.00
Sites, in units of the cell vectors:
Hg1 0.0000 0.6956 0.4837
Tc1 0.5000 0.5411 0.7938
Tl1 0.0000 0.9767 0.9212
Tl2 0.5000 0.2866 0.3013

distance to the lowest polymorph of the same formula: 114 meV per atom
symmetry: Pm
calculated formation energy: 0.60 eV per atom

***

[3]
Below is a relaxed Tl2TcHg crystal, with properties calculated at the GGA-PBE level.

Lattice parameters (Å, degrees): 4.3694 4.3694 10.6268 78.14 78.14 90.00
Sites, in units of the cell vectors:
Tl1 0.6052 0.1250 0.2500
Tl2 0.1448 0.6250 0.2500
Tl3 0.3750 0.3948 0.7500
Tl4 0.8750 0.8552 0.7500
Hg1 0.0000 0.0000 0.0000
Hg2 0.7500 0.2500 0.5000
Tc1 0.5000 0.5000 0.0000
Tc2 0.2500 0.7500 0.5000

distance to the lowest polymorph of the same formula: 319 meV per atom
symmetry: I-42d
calculated formation energy: 0.81 eV per atom

***

[4]
Below is a relaxed TlTcHg2 crystal, with properties calculated at the GGA-PBE level.

Lattice parameters (Å, degrees): 4.5443 3.3232 5.9875 73.98 90.00 90.00
Sites, in units of the cell vectors:
Hg1 0.0000 0.0397 0.0430
Hg2 0.5000 0.4471 0.2308
Tc1 0.0000 0.2926 0.5407
Tl1 0.5000 0.7206 0.6854

distance to the lowest polymorph of the same formula: 129 meV per atom
symmetry: Pm
calculated formation energy: 0.60 eV per atom

***

[5]
Below is a relaxed TlTcHg2 crystal, with properties calculated at the GGA-PBE level.

Lattice parameters (Å, degrees): 3.1137 3.1137 10.3868 90.00 90.00 117.96
Sites, in units of the cell vectors:
Hg1 0.0000 0.0000 0.0081
Hg2 0.5000 0.5000 0.2724
Tc1 0.0000 0.0000 0.4945
Tl1 0.5000 0.5000 0.7250

distance to the lowest polymorph of the same formula: 129 meV per atom
symmetry: Cmm2
calculated formation energy: 0.60 eV per atom

***

[6]
Below is a relaxed Tl3TcHg crystal, with properties calculated at the GGA-PBE level.

Lattice parameters (Å, degrees): 5.3664 5.3664 5.3664 90.00 90.00 90.00
Sites, in units of the cell vectors:
Tl1 0.0000 0.5000 0.0000
Tl2 0.0000 0.0000 0.5000
Tl3 0.5000 0.0000 0.0000
Hg1 0.5000 0.5000 0.5000
Tc1 0.0000 0.0000 0.0000

distance to the lowest polymorph of the same formula: 0 meV per atom
symmetry: Pm-3m
calculated formation energy: 0.37 eV per atom

***

[7]
Below is a relaxed Tl2TcHg crystal, with properties calculated at the GGA-PBE level.

Lattice parameters (Å, degrees): 3.6959 3.6959 6.3622 90.00 90.00 90.00
Sites, in units of the cell vectors:
Hg1 0.5000 0.5000 0.2500
-- End of the data records --

  • This is physically releasing worries over anything not solely in your control. Only the left column – what you can control – matters.

Do this every day, ideally before practice, a match, etc. and you can start focusing on what you can control.

Morning Mindset Routine

When first waking up in the morning, before anything else, think about two things:

  1. A feeling of gratitude
  2. Answer the question, “What am I going to be about today?
    • Not “What am I going to do today?” but “How do I want to show up today?”

This trains your mind to consider what is within your control and how you can manage that control. If you look at your phone, check email, or something else externally-focused first thing in the morning, you let someone else dictate how your day will go. By considering gratitude and your goal for the day, you can put yourself in a better mindset before leaving bed.

Building Resiliency


Our brains do a great job of protecting us from danger by instigating a Fight or Flight response. However, our brains aren’t great at differentiating between real danger and a moment that seems important. Hence, we can get nervous during occasions we’re otherwise safe, like in a big volleyball match.

During those important moments, our thoughts can run wild and distract from the task at hand. if we don’t train our minds to stay focused on that task, we can’t be as effective as we should be in that moment.

How to combat this:

Step One: List two challenges in volleyball that you love and that excite you.

Step Two: List two challenges that you hate or make you uncomfortable.

  • Courtney’s Example: The first week of playing oversees with a new team

Step Three: Consider how these types of challenges are different. During challenges that are unpleasant, we are typically consumed with outside elements like the outcome or what other people think.

Step Four: For the challenges you dislike, reframe them with the question, “What’s the opportunity?” Focus on something you can control.

  • Courtney’s example: Getting cut from Team USA was difficult and sad, but it gave her motivation to come back and be a better learner and teammate during the next camp.


During a match, we may not have time to convert the challenges we face into opportunities. Instead, be curious about the situation and reframe it into a question:

  • What can I do differently here?
  • How can I be a better teammate right now?
  • How can I make this game for more fun?

This creates emotional space to separate yourself from the challenge, think more clearly and rationally, and play a bit more loosely.

Step Five: Think about the challenges you dislike. Consider what questions you could ask yourself during that time that create the emotional space needed to face the challenge.

In a similar vein, Courtney tries to follow the, “No Sorry” rule after mistakes. Rather than apologizing to her teammates, she tries to tell her teammates what she will do differently next time and how it would help them. She strives to be forward-thinking and solution-based about her mistakes.

As coaches, you can help teach your athletes to reframe these challenges. During a tough stretch for a particular athlete, ask them a question that initiates the reframing process. If you have to tell someone they will no longer start, point out the opportunities that still lay ahead. You can help them begin the reframing process.

It’s not only players that can benefit from reframing mid-game; coaches can, too. If you seem to be communicating poorly with your team, be curious and try to solve that. Ask your players what they’re seeing and feeling on the court or find a way to give instruction differently and more clearly. A stronger mindset can help everyone involved with a volleyball team.